Charlotte Central School spends week honoring staff

May 6-10, national Teacher Appreciation Week, was celebrated at Charlotte Central School and across the Champlain Valley School District. The school’s PTO and administration organized many events to honor all the members of the school community.

Monday, May 6, the administrative assistants (Naomi Strada, Cindy LaWare and Kathie Wagner) who keep the school running each day were celebrated.

Tuesday, May 7, was National Teachers’ Day, honoring classroom teachers, special educators and essential arts educators.

Wednesday, May 8, celebrated National School Nurse Day, along with school counselors and bus drivers.

Thursday, May 9, was a day to honor support staff, custodians and the behavior system team.

Friday, May 10, was a day to show appreciation for the cafeteria crew on National School Lunch Hero Day.

At the end of the week, the school administration planned a game show with prizes and treats each day. There were creative ideas and special privileges for many of the prizes, including gifts and gift cards from local businesses. The acknowledgements showered on the staff during the week not only brought joy, it helped energize the school through the final weeks of school.

Little things
In addition to celebrating the day-to-day work of the staff at Charlotte Central School, it’s worth thinking about the little things happening behind the scenes:

The custodian dug through the compost bins twice this week to search for the retainers of two different students

An educator created a space for a student to make a bracelet so he could donate it to the Staff Game Show

### Next to the article, the page also holds data records
No. 1
{
  "formula": "K2NaTaI6",
  "functional": "PBE",
  "state": "relaxed",
  "lattice_angstrom": [[0.000, 5.956, 5.956], [5.956, 0.000, 5.956], [5.956, 5.956, 0.000]],
  "species": ["K", "K", "Na", "Ta", "I", "I", "I", "I", "I", "I"],
  "frac_coords": [[0.250, 0.250, 0.250], [0.750, 0.750, 0.750], [0.000, 0.000, 0.000], [0.500, 0.500, 0.500], [0.262, 0.262, 0.738], [0.262, 0.738, 0.262], [0.262, 0.738, 0.738], [0.738, 0.262, 0.262], [0.738, 0.262, 0.738], [0.738, 0.738, 0.262]],
  "e_tot_ev_per_cell": -33.139
}

No. 2
{
  "formula": "K2NaYI6",
  "functional": "PBE",
  "state": "relaxed",
  "lattice_angstrom": [[0.000, 6.145, 6.145], [6.145, 0.000, 6.145], [6.145, 6.145, 0.000]],
  "species": ["K", "K", "Na", "Y", "I", "I", "I", "I", "I", "I"],
  "frac_coords": [[0.250, 0.250, 0.250], [0.750, 0.750, 0.750], [0.000, 0.000, 0.000], [0.500, 0.500, 0.500], [0.255, 0.255, 0.745], [0.255, 0.745, 0.255], [0.255, 0.745, 0.745], [0.745, 0.255, 0.255], [0.745, 0.255, 0.745], [0.745, 0.745, 0.255]],
  "e_tot_ev_per_cell": -32.776
}

No. 3
{
  "formula": "K3NdI6",
  "functional": "PBE",
  "state": "relaxed",
  "lattice_angstrom": [[0.000, 6.466, 6.466], [6.466, 0.000, 6.466], [6.466, 6.466, 0.000]],
  "species": ["K", "K", "K", "Nd", "I", "I", "I", "I", "I", "I"],
  "frac_coords": [[0.000, 0.000, 0.000], [0.250, 0.250, 0.250], [0.750, 0.750, 0.750], [0.500, 0.500, 0.500], [0.260, 0.260, 0.740], [0.260, 0.740, 0.260], [0.260, 0.740, 0.740], [0.740, 0.260, 0.260], [0.740, 0.260, 0.740], [0.740, 0.740, 0.260]],
  "e_tot_ev_per_cell": -31.019
}

No. 4
{
  "formula": "K3Nd3I10",
  "functional": "PBE",
  "state": "relaxed",
  "lattice_angstrom": [[9.103, 0.000, 0.000], [0.000, 14.470, 0.000], [-0.556, 0.000, 9.984]],
  "species": ["K", "K", "K", "K", "K", "K", "Nd", "Nd", "Nd", "Nd", "Nd", "Nd", "I", "I", "I", "I", "I", "I", "I", "I", "I", "I", "I", "I", "I", "I", "I", "I", "I", "I", "I", "I"],
  "frac_coords": [[0.204, 0.000, 0.218], [0.261, 0.342, 0.765], [0.290, 0.313, 0.255], [0.710, 0.813, 0.745], [0.739, 0.842, 0.235], [0.796, 0.500, 0.782], [0.176, 0.724, 0.551], [0.271, 0.968, 0.697], [0.312, 0.643, 0.034], [0.688, 0.143, 0.966], [0.729, 0.468, 0.303], [0.824, 0.224, 0.449], [0.019, 0.406, 0.466], [0.040, 0.709, 0.835], [0.085, 0.477, 0.054], [0.111, 0.762, 0.226], [0.174, 0.145, 0.515], [0.328, 0.131, 0.942], [0.395, 0.581, 0.735], [0.403, 0.575, 0.332], [0.411, 0.855, 0.956], [0.442, 0.852, 0.489], [0.558, 0.352, 0.511], [0.589, 0.355, 0.044], [0.597, 0.075, 0.668], [0.605, 0.081, 0.265], [0.672, 0.631, 0.058], [0.826, 0.645, 0.485], [0.889, 0.262, 0.774], [0.915, 0.977, 0.946], [0.960, 0.209, 0.165], [0.981, 0.906, 0.534]],
  "e_tot_ev_per_cell": -108.408
}

No. 5
{
  "formula": "K2RbNdI6",
  "functional": "PBE",
  "state": "relaxed",
  "lattice_angstrom": [[0.000, 6.574, 6.574], [6.574, 0.000, 6.574], [6.574, 6.574, 0.000]],
  "species": ["K", "K", "Rb", "Nd", "I", "I", "I", "I", "I", "I"],
### End of the data records

A bus driver drove double routes to cover for a colleague who was sick

The retired educators who returned to the classroom to share their expertise of Charlotte’s history

The teachers who juggle their current class of students in order to visit younger students in daycare centers to build a strong connection before they come to CCS.

The administrators at each door, greeting students and families as the day begins

Educators teaching for lifelong learning and how to stay curious.

The school administration expressed its deep appreciation for all of the public school employees who show up every day, unconditionally caring for each other and their students, and who believe in their role as stewards of the future.

Arbor Day
Charlotte Central School celebrated Arbor Day with an assembly led by the first grade. Those students shared facts about Arbor Day as well as important things trees provide for the world. They even shared a few tree riddles.

In addition, a special thank you was extended to Charlie Proutt of Horsford Garden & Nursery for the donation of a bur oak tree for the school grounds. Proutt has been donating trees for many years to Charlotte Central School and the school community is very grateful for his generosity.

He also led the tree-planting ceremony where kindergarten students, with the assistance of the seventh and eighth grade Student Council Ambassadors, finished planting the tree. The kindergarten students will get to watch the bur oak tree grow over the years, and one day, as eighth graders will be able to help a future kindergarten plant their own tree.

Upcoming school events
Monday, May 20, 6:30-7:30 p.m.
— Spring Concert, fifth-eighth grade band and chorus, Multi-Purpose Room, Note: This is a change in date.

Thursday, May 23, 7 p.m. — Champlain Valley School District Jazz Festival (Charlotte Central School Jazz Band will be performing), CVU auditorium.

Wednesday, June 5, 12:20-1 p.m. — Discover Jazz Fest (Charlotte Central School Jazz Band will be performing), Church Street, Burlington.

Thursday, June 6, 5:30-6:35 p.m. — Charlotte Central School Band and Chorus perform national anthem at Lake Monsters game, Centennial Field, Burlington.